Contents =
~~~
Starting from a GGA-PBE-relaxed structure, the powder diffraction line list of GdErNi8B2 was simulated for a wavelength of 1.5418 Å.
Peak positions follow from Bragg's law for the DFT cell and can differ from measured ones.

Most intense lines, 10 to 90 degrees two-theta, in order of rising 2θ:
two_theta	I/Imax
20.58	14
33.05	90
36.04	31
41.85	74
44.71	100
62.90	28
65.37	15
69.33	16
70.86	24
76.44	21

Cell and atoms:
```
GdErNi8B2
1.0
4.9844 0.0000 0.0000
-2.4922 4.3167 0.0000
0.0000 0.0000 6.9664
Gd Er Ni B
1 1 8 2
Cartesian
0.0000 0.0000 0.0000 Gd
0.0000 0.0000 3.4832 Er
-1.2461 2.1583 1.4540 Ni
-1.2461 2.1583 5.5124 Ni
0.0000 2.8778 3.4832 Ni
2.4922 0.0000 1.4540 Ni
2.4922 0.0000 5.5124 Ni
1.2461 2.1583 1.4540 Ni
1.2461 2.1583 5.5124 Ni
2.4922 1.4389 3.4832 Ni
0.0000 2.8778 0.0000 B
2.4922 1.4389 0.0000 B
```


Starting from a GGA-PBE-relaxed structure, the powder diffraction line list of Sm2GdTa2P6 was simulated for a wavelength of 1.5418 Å.
Peak positions follow from Bragg's law for the DFT cell and can differ from measured ones.

Most intense lines, 10 to 90 degrees two-theta, in order of rising 2θ:
two_theta	I/Imax
15.66	31
26.77	85
27.33	100
33.63	25
38.22	59
40.68	28
47.62	45
55.16	20
56.36	20
57.04	22

Cell and atoms:
```
Sm2GdTa2P6
1.0
-2.3547 2.3547 11.3149
2.3547 -2.3547 11.3149
2.3547 2.3547 -11.3149
Sm Gd Ta P
2 1 2 6
Cartesian
0.0000 0.0000 3.7559 Sm
0.0000 0.0000 18.8739 Sm
0.0000 0.0000 0.0000 Gd
0.0000 0.0000 8.9081 Ta
0.0000 0.0000 13.7217 Ta
2.3547 0.0000 1.7973 P
0.0000 0.0000 6.6006 P
2.3547 0.0000 9.5176 P
0.0000 2.3547 1.7973 P
0.0000 0.0000 16.0292 P
0.0000 2.3547 9.5176 P
```


Number 2 is which compound? Sm2GdTa2P6


What is the formula in the second record? Sm2GdTa2P6

* * * * *

1.
The following is a calculated powder diffraction line list of Ta3Mn2N. It was derived from the PBE geometry in Alexandria, using Cu Ka.

Most intense lines, 2θ from 10° to 90°, by angle:
2theta  d (Å)  Rel. int.  (hkl)
28.92  3.088  20  2 1 0
39.14  2.302  100  2 2 1
41.35  2.183  60  3 1 0
43.47  2.082  20  3 1 1
69.41  1.354  20  4 3 1
73.92  1.282  21  5 2 0

Cell and atoms:
```
data_Ta3Mn2N
_chemical_formula_sum 'Ta12 Mn8 N4'
_symmetry_space_group_name_H-M 'P 41 3 2'
_symmetry_Int_Tables_number 213
_symmetry_space_group_name_Hall 'P 4bd 2ab 3'
_cell_length_a 6.905
_cell_length_b 6.905
_cell_length_c 6.905
_cell_angle_alpha 90.00
_cell_angle_beta 90.00
_cell_angle_gamma 90.00
loop_
_atom_site_label
_atom_site_fract_x
_atom_site_fract_y
_atom_site_fract_z
_atom_site_occupancy
Ta1 0.045 0.125 0.795 1
Mn1 0.075 0.925 0.425 1
N1 0.125 0.375 0.625 1
```

***

2.
The following is a calculated powder diffraction line list of TbThMnN4. It was derived from the PBE geometry in Alexandria, using Cu Ka.

Most intense lines, 2θ from 10° to 90°, by angle:
2theta  d (Å)  Rel. int.  (hkl)
25.19  3.535  37  1 0 1
32.30  2.772  100  1 0 3
34.44  2.604  56  1 1 0
45.13  2.009  28  1 1 4
49.51  1.841  25  2 0 0
60.35  1.534  35  2 1 3

Cell and atoms:
```
data_TbThMnN4
_chemical_formula_sum 'Tb2 Th2 Mn2 N8'
_symmetry_space_group_name_H-M 'I 4 m m'
_symmetry_Int_Tables_number 107
_symmetry_space_group_name_Hall 'I 4 -2'
_cell_length_a 3.682
_cell_length_b 3.682
_cell_length_c 12.632
_cell_angle_alpha 90.00
_cell_angle_beta 90.00
_cell_angle_gamma 90.00
loop_
_atom_site_label
_atom_site_fract_x
_atom_site_fract_y
_atom_site_fract_z
_atom_site_occupancy
Tb1 0.000 0.000 0.000 1
Th1 0.000 0.000 0.290 1
Mn1 0.000 0.000 0.640 1
N1 0.000 0.000 0.472 1
N2 0.000 0.000 0.816 1
N3 0.000 0.500 0.143 1
```

***

3.
The following is a calculated powder diffraction line list of Tb2YMnN4. It was derived from the PBE geometry in Alexandria, using Cu Ka.

Most intense lines, 2θ from 10° to 90°, by angle:
2theta  d (Å)  Rel. int.  (hkl)
27.92  3.195  67  0 2 3
30.91  2.893  35  0 0 4
31.37  2.852  66  0 4 0
31.71  2.822  98  1 1 2
38.95  2.312  100  1 3 2
48.37  1.882  34  1 1 5

Cell and atoms:
```
data_Tb2YMnN4
_chemical_formula_sum 'Tb8 Y4 Mn4 N16'
~~~

Job =
Quote the whole of the entries earlier on verbatim.

Completed =
Starting from a GGA-PBE-relaxed structure, the powder diffraction line list of GdErNi8B2 was simulated for a wavelength of 1.5418 Å.
Peak positions follow from Bragg's law for the DFT cell and can differ from measured ones.

Most intense lines, 10 to 90 degrees two-theta, in order of rising 2θ:
two_theta	I/Imax
20.58	14
33.05	90
36.04	31
41.85	74
44.71	100
62.90	28
65.37	15
69.33	16
70.86	24
76.44	21

Cell and atoms:
```
GdErNi8B2
1.0
4.9844 0.0000 0.0000
-2.4922 4.3167 0.0000
0.0000 0.0000 6.9664
Gd Er Ni B
1 1 8 2
Cartesian
0.0000 0.0000 0.0000 Gd
0.0000 0.0000 3.4832 Er
-1.2461 2.1583 1.4540 Ni
-1.2461 2.1583 5.5124 Ni
0.0000 2.8778 3.4832 Ni
2.4922 0.0000 1.4540 Ni
2.4922 0.0000 5.5124 Ni
1.2461 2.1583 1.4540 Ni
1.2461 2.1583 5.5124 Ni
2.4922 1.4389 3.4832 Ni
0.0000 2.8778 0.0000 B
2.4922 1.4389 0.0000 B
```


Starting from a GGA-PBE-relaxed structure, the powder diffraction line list of Sm2GdTa2P6 was simulated for a wavelength of 1.5418 Å.
Peak positions follow from Bragg's law for the DFT cell and can differ from measured ones.

Most intense lines, 10 to 90 degrees two-theta, in order of rising 2θ:
two_theta	I/Imax
15.66	31
26.77	85
27.33	100
33.63	25
38.22	59
40.68	28
47.62	45
55.16	20
56.36	20
57.04	22

Cell and atoms:
```
Sm2GdTa2P6
1.0
-2.3547 2.3547 11.3149
2.3547 -2.3547 11.3149
2.3547 2.3547 -11.3149
Sm Gd Ta P
2 1 2 6
Cartesian
0.0000 0.0000 3.7559 Sm
0.0000 0.0000 18.8739 Sm
0.0000 0.0000 0.0000 Gd
0.0000 0.0000 8.9081 Ta
0.0000 0.0000 13.7217 Ta
2.3547 0.0000 1.7973 P
0.0000 0.0000 6.6006 P
2.3547 0.0000 9.5176 P
0.0000 2.3547 1.7973 P
0.0000 0.0000 16.0292 P
0.0000 2.3547 9.5176 P
```


Number 2 is which compound? Sm2GdTa2P6


What is the formula in the second record? Sm2GdTa2P6

* * * * *

1.
The following is a calculated powder diffraction line list of Ta3Mn2N. It was derived from the PBE geometry in Alexandria, using Cu Ka.

Most intense lines, 2θ from 10° to 90°, by angle:
2theta  d (Å)  Rel. int.  (hkl)
28.92  3.088  20  2 1 0
39.14  2.302  100  2 2 1
41.35  2.183  60  3 1 0
43.47  2.082  20  3 1 1
69.41  1.354  20  4 3 1
73.92  1.282  21  5 2 0

Cell and atoms:
```
data_Ta3Mn2N
_chemical_formula_sum 'Ta12 Mn8 N4'
_symmetry_space_group_name_H-M 'P 41 3 2'
_symmetry_Int_Tables_number 213
_symmetry_space_group_name_Hall 'P 4bd 2ab 3'
_cell_length_a 6.905
_cell_length_b 6.905
_cell_length_c 6.905
_cell_angle_alpha 90.00
_cell_angle_beta 90.00
_cell_angle_gamma 90.00
loop_
_atom_site_label
_atom_site_fract_x
_atom_site_fract_y
_atom_site_fract_z
_atom_site_occupancy
Ta1 0.045 0.125 0.795 1
Mn1 0.075 0.925 0.425 1
N1 0.125 0.375 0.625 1
```

***

2.
The following is a calculated powder diffraction line list of TbThMnN4. It was derived from the PBE geometry in Alexandria, using Cu Ka.

Most intense lines, 2θ from 10° to 90°, by angle:
2theta  d (Å)  Rel. int.  (hkl)
25.19  3.535  37  1 0 1
32.30  2.772  100  1 0 3
34.44  2.604  56  1 1 0
45.13  2.009  28  1 1 4
49.51  1.841  25  2 0 0
60.35  1.534  35  2 1 3

Cell and atoms:
```
data_TbThMnN4
_chemical_formula_sum 'Tb2 Th2 Mn2 N8'
_symmetry_space_group_name_H-M 'I 4 m m'
_symmetry_Int_Tables_number 107
_symmetry_space_group_name_Hall 'I 4 -2'
_cell_length_a 3.682
_cell_length_b 3.682
_cell_length_c 12.632
_cell_angle_alpha 90.00
_cell_angle_beta 90.00
_cell_angle_gamma 90.00
loop_
_atom_site_label
_atom_site_fract_x
_atom_site_fract_y
_atom_site_fract_z
_atom_site_occupancy
Tb1 0.000 0.000 0.000 1
Th1 0.000 0.000 0.290 1
Mn1 0.000 0.000 0.640 1
N1 0.000 0.000 0.472 1
N2 0.000 0.000 0.816 1
N3 0.000 0.500 0.143 1
```

***

3.
The following is a calculated powder diffraction line list of Tb2YMnN4. It was derived from the PBE geometry in Alexandria, using Cu Ka.

Most intense lines, 2θ from 10° to 90°, by angle:
2theta  d (Å)  Rel. int.  (hkl)
27.92  3.195  67  0 2 3
30.91  2.893  35  0 0 4
31.37  2.852  66  0 4 0
31.71  2.822  98  1 1 2
38.95  2.312  100  1 3 2
48.37  1.882  34  1 1 5

Cell and atoms:
```
data_Tb2YMnN4
_chemical_formula_sum 'Tb8 Y4 Mn4 N16'